Tag: drugs
Macedonia 08.11.21 | 18:58

Large quantity of synthetic drugs seized in a Skopje raid reportedly coordinated with the DEA

A large police raid, reportedly supported by the US DEA organization, led to the seizure of hundreds of kilograms of synthetic drugs. The drugs were flown into the Skopje airport, hidden in a shipment of mobile phone parts that were ordered by a phone store in the capital. Customs office allowed the...

Macedonia 13.10.21 | 16:56

Group of Albanian and Macedonian marijuana smugglers arrested on the border with Greece

Two Albanian citizens were arrested near the Gevgelija border crossing between Macedonia and Greece, as they were transporting 70 kilograms of marijuana. This led to the arrest of four additional persons – two citizens of Albania and two of Macedonia. The arrests were performed on Tuesday, after...

Macedonia 26.09.21 | 14:39

VMRO-DPMNE: Are MoI vehicles used for drug trafficking, nobody believes that the drugs have been in the vehicle for 5 years?

SDSM has institutionalized crime, accuses VMRO-DPMNE, asking whether Interior Ministry’s vehicles are used for drug trafficking?!  No matter how much Spasovski tries to justify himself and gives banal excuses, he cannot explain the fact how the Montenegrin police knew that there were drugs in...

........
No. 1
A plane-wave DFT calculation with PBE was carried out for a relaxed Na4TeH10Se2O16 crystal.

Energy relative to the elements = -1164.3 meV/atom
Space group = P2_1/c
Crystal system = monoclinic
E_tot = -311.9 eV per cell
M_tot = 4.005 μB per cell
Energy with MP2020 corrections = -333.9 eV per cell
Polymorph energy (0 for the lowest one) = 161 meV per atom
Mass density = 2.71 g/cm³

a = 12.6726 Å, b = 6.1788 Å, c = 10.9067 Å
α = 67.53°, β = 90.00°, γ = 90.00°
Closest atoms and distances in Å follow each position.
Fractional coordinates of all 66 atoms:
Na (0.7244, 0.8758, 0.2307)  5 O 2.34-2.59, 1 H 2.37
Na (0.2756, 0.1242, 0.7693)  5 O 2.34-2.59, 1 H 2.37
Na (0.9690, 0.3769, 0.1481)  4 O 2.37-2.59, 1 H 2.58
Na (0.5310, 0.3769, 0.6481)  4 O 2.37-2.59, 1 H 2.58
Na (0.2244, 0.1242, 0.2693)  5 O 2.34-2.59, 1 H 2.37
Na (0.7756, 0.8758, 0.7307)  5 O 2.34-2.59, 1 H 2.37
Na (0.4690, 0.6231, 0.3519)  4 O 2.37-2.59, 1 H 2.58
Na (0.0310, 0.6231, 0.8519)  4 O 2.37-2.59, 1 H 2.58
Te (0.0000, 0.0000, 0.5000)  6 O 2.16-2.37
Te (0.5000, 0.0000, 0.0000)  6 O 2.16-2.37
H (0.1233, 0.9980, 0.0174)  1 O 0.98
H (0.3767, 0.9980, 0.5174)  1 O 0.98
H (0.6233, 0.0020, 0.4826)  1 O 0.98
H (0.6290, 0.8766, 0.8652)  1 O 1.00
H (0.8767, 0.0020, 0.9826)  1 O 0.98
H (0.4529, 0.7438, 0.7313)  1 O 0.98
H (0.0471, 0.7438, 0.2313)  1 O 0.98
H (0.9322, 0.6778, 0.2542)  1 O 0.99
H (0.1290, 0.1234, 0.6348)  1 O 1.00
H (0.8710, 0.8766, 0.3652)  1 O 1.00
H (0.7562, 0.0481, 0.9481)  1 O 0.99
H (0.5678, 0.6778, 0.7542)  1 O 0.99
H (0.3710, 0.1234, 0.1348)  1 O 1.00
H (0.5471, 0.2562, 0.2687)  1 O 0.98
H (0.9529, 0.2562, 0.7687)  1 O 0.98
H (0.4322, 0.3222, 0.2458)  1 O 0.99
H (0.2438, 0.9519, 0.0519)  1 O 0.99
H (0.0678, 0.3222, 0.7458)  1 O 0.99
H (0.7438, 0.0481, 0.4481)  1 O 0.99
H (0.2562, 0.9519, 0.5519)  1 O 0.99
Se (0.7100, 0.4361, 0.0260)  2 O 1.68-1.82
Se (0.2900, 0.5639, 0.9740)  2 O 1.68-1.82
Se (0.7900, 0.4361, 0.5260)  2 O 1.68-1.82
Se (0.2100, 0.5639, 0.4740)  2 O 1.68-1.82
O (0.8412, 0.5907, 0.3761)  1 Se 1.68, 2 H 1.69-1.77
O (0.1142, 0.7994, 0.4075)  1 Se 1.82
O (0.4381, 0.3310, 0.8628)  1 O 1.44
O (0.1588, 0.4093, 0.6239)  1 Se 1.68, 2 H 1.69-1.77
O (0.9829, 0.7483, 0.1800)  2 H 0.98-0.99
O (0.8858, 0.2006, 0.5925)  1 Se 1.82
O (0.6325, 0.6658, 0.4448)  1 H 2.27, 2 Na 2.37-2.49, 1 Se 2.41
O (0.5171, 0.7483, 0.6800)  2 H 0.98-0.99
O (0.6721, 0.6227, 0.1275)  1 O 1.44
O (0.3279, 0.3773, 0.8725)  1 O 1.44
O (0.3675, 0.3342, 0.5552)  1 H 2.27, 2 Na 2.37-2.49, 1 Se 2.41
O (0.8139, 0.0748, 0.0018)  2 H 0.98-0.99
O (0.1325, 0.3342, 0.0552)  1 H 2.27, 2 Na 2.37-2.49, 1 Se 2.41
O (0.1861, 0.9252, 0.9982)  2 H 0.98-0.99
O (0.0171, 0.2517, 0.8200)  2 H 0.98-0.99
O (0.8279, 0.6227, 0.6275)  1 O 1.44
O (0.3412, 0.4093, 0.1239)  1 Se 1.68, 2 H 1.69-1.77
O (0.4829, 0.2517, 0.3200)  2 H 0.98-0.99
O (0.8775, 0.0436, 0.3550)  1 H 1.00
O (0.3858, 0.7994, 0.9075)  1 Se 1.82
O (0.6588, 0.5907, 0.8761)  1 Se 1.68, 2 H 1.69-1.77
O (0.5619, 0.6690, 0.1372)  1 O 1.44
........
**The calculated crystals stop here**

Macedonia 24.09.21 | 23:42

Tortevski: How did they instantly find that the drugs were forgotten?

Lawyer Aleksandar Tortevski reacted after yesterday the Ministry of Interior said that the drugs found on the Albanian-Montenegrin border in a car driven by police officers were forgotten.  According to Tortevski, only a seriously conducted prosecutor and court procedure can show whether this was the...

Macedonia 24.09.21 | 15:31

Kovacki: The drugs scandal in Montenegro shows an extreme case of abuse of office

The scandal involving the smuggling of drugs to Montenegro by Macedonian Interior Ministry officials is the worst kind of abuse of office, said VMRO-DPMNE official Dragan Kovacki. Two high ranking Interior Ministry officials were briefly detained in Montenegro two days ago, when several dozens kilograms...

Macedonia 24.09.21 | 11:59

Interior Ministry claims that its officials carried drugs to Montenegro “by mistake”

A new bizzare scandal involving drug trafficking is developing in Macedonia, after a vehicle of the Interior Ministry, carrying two high ranking officials was found to have a secret compartment with several dozens of kilograms of marijuana derived drugs. The Montenegrin Customs Office seized the drugs...

Macedonia 28.07.21 | 12:03

Large drug raid in Skopje, one of the detained suspects is a police officer

A large police raid in Skopje led to the arrest of 12 people, including one police officers. The Interior Ministry confirmed that an operation is on-going, and announced more details for later in the day. The arrests were conducted in the north-eastern parts of the capital.

Macedonia 31.05.21 | 13:35

North Columbia: Greece intercepts marijuana shipment from Macedonia

A shipment of 167 kilograms of marijuana was intercepted at the Gevgelija border crossing between Macedonia and Greece. A 37 year old citizen of Macedonia was trying to smuggle the drugs to Greece hiding them in his truck. The man was also carrying a gun. He was found out by a trained dog. Under Zaev,...

Macedonia 12.05.21 | 19:57

Report: Drugs grown for “medicinal purposes” in Macedonia end up on the black market

In a new report, the Global Initiative Against Transnational Organized Crime warns that marijuana grown ostensibly for medicinal purposes in Macedonia is being sold on the black market. The marijuana business grew exponentially under the Zaev regime, which awards growing licenses to cronies and members...

Macedonia 13.04.21 | 16:47

Drug dealer arrested near Kumanovo

A drug trafficker was detained in Kumanovo today. The 36 year ol dma was caught with marijuana and powdered substance which is being examined. It’s the latest in a series of arrests of drug traffickers in Macedonia. The most notable case, last Friday near Prilep, touched directly on Prime Minister...

Macedonia 09.04.21 | 23:19

Arsovski: New affair involving the Zaev cartel in sight, is the van in which the drugs were seized owned by company of the Zaev family?

The spokesperson of VMRO-DPMNE, Dimce Arsovski, announces that a new affair is in sight in which members of the Zaev family are involved. According to Arsovski, although the Ministry of Interior is silent and in a panic, unofficial information says that in the police operation led by the United States’...

Macedonia 09.04.21 | 18:30

Senior police officer and close friend of Zaev and Spasovski detained in major police operation

Senior police officer who was detained today in a major police operation, in which a large quantity of drugs was seized, was close to the Prime Minister Zoran Zaev and the Minister of Interior Oliver Spasovski, claim Republika sources. According to them, the senior police officer from Prilep often appeared...

Macedonia 26.03.21 | 14:42

Drug investigation against two Albanian mafia gangs leaked, the main suspects escaped

Organized crime prosecutor Vilma Ruskoska confirmed that the investigation into two gangs of the Albanian drug mafia were leaked and that only a small quantity of drugs was seized. The main bosses of the two groups have fled before they could be arrested, she added. A total of 13 people were detained...

Macedonia 08.02.21 | 11:23

Detention ordered after the arrest of four drug dealers in Prilep

The Prilep court ordered 30 days detention for four drug dealers who were arrested yesterday with marijuana, cocaine, heroin and amphetamines. The four men, aged between 31 and 35, were observed for several months. Two of them would procure the drugs and package them in smaller quantities, and afterwards...

Macedonia Balkans 07.12.20 | 23:49

Shots fired as a major police raid is being conducted near Skopje

A major police operation is being conducted in the village of Aracinovo near Skopje. Official information is scarce, but witnesses are saying that a shoot-out occurred during the raid. According to unofficial reports, the police seized a large quantity of drugs, as well as weapons. Aracinovo, one of...

Macedonia 26.10.20 | 16:44

Turkish citizen caught with 110 kilos of hashish near Ohrid

Ohrid prosecutors filed charges against a Turkish citizen who was caught with 110 kilograms of hashish yesterday. The man was caught on the Resen – Ohrid road while transporting 114 packs of drugs. Officers believe he was supposed to deliver the drugs to someone.

Macedonia 25.10.20 | 14:43

Cocaine dealer arrested in Kicevo

Police officers seized 100 grams of cocaine from a drug dealer in Kicevo yesterday evening. The 38 year old man threw a small ball from his car once he was intercepted by the police. After the arrest, his home was raided and the officers found 100 grams cocaine, a kilogram of additives commonly used...

Macedonia 30.06.20 | 12:47

Fishing boat transporting 200 kilograms of marijuana seized on lake Ohrid

Ohrid lake patrols have seized a major shipment of 200 kilograms of marijuana that was being transported on a fishing boat. A single smuggler was operating the boat that was intercepted around midnight, near the Sateska river, east of Struga. The smuggler abandoned the drugs and fled. It is believed...

Macedonia 18.06.20 | 19:15

Kocani woman fled quarantine, was arrested drunk, with drugs and ammunition

A 36 year old woman from Kocani who was ordered to remain in quarantine at home after exposure to the coronavirus was arrested driving through the city with drugs and a small quantity of ammunition. The woman, identified as T.G., has violated the quarantine order this weekend. She was eventually arrested...

Macedonia 25.04.20 | 23:04

Police raid east of Skopje nets a large quantity of drugs

Macedonian police seized 2,2 kilograms of heroin and other drugs during a raid on a house in the village of Trubarevo east of the capital Skopje. The police informed that it is still examining the total haul in the house. So far, 33 bags of drugs and two digital scales were found. The raid began with...
